1. Grab the book nearest to you, turn to page 18, and find line 4.
"...access panels of his mind and pulling out all the components that have..."
2. Stretch your left arm out as far as you can.
I can touch my bed, but the way I am sitting, my arm points to my guitar.
3. What is the last thing you watched on TV?
I have no idea. I haven't watched it in ages.
4. Without looking, guess what time it is:
8:30 ish.
5. Now look at the clock. What is the actual time?
8:35. (I had glanced at it a little bit before starting this survey.)
6. With the exception of the computer, what can you hear?
7. When did you last step outside? What were you doing?
When I got off the bus yesterday. I was going home.
Between two parts of the article: records of crystals >
'''
Entry 1:
DFT (PBEsol) results for an optimized crystal structure of FeCoOs.

* crystal system: cubic
* energy relative to the lowest polymorph listed for this composition: 563.9 meV per atom
* SG: No. 216
* formation enthalpy at 0 K: 0.763 eV/atom

a = 3.870 Å, b = 3.870 Å, c = 3.870 Å
α = 60.00°, β = 60.00°, γ = 60.00°
Site moments in Bohr magnetons follow the coordinates.
Positions (direct):
Co  0.000  0.000  0.000  0.68
Fe  0.500  0.500  0.500  0.19
Os  0.250  0.250  0.250  0.15

---

Entry 2:
DFT (PBEsol) results for an optimized crystal structure of KCuP.

* crystal system: hexagonal
* SG: No. 187
* formation enthalpy at 0 K: -0.215 eV/atom

a = 3.855 Å, b = 3.855 Å, c = 5.145 Å
α = 90.00°, β = 90.00°, γ = 120.00°
Positions (direct):
P  0.667  0.333  0.500
K  0.333  0.667  0.000
Cu  0.000  0.000  0.500

---

Entry 3:
DFT (PBEsol) results for an optimized crystal structure of HgHRu2.

* crystal system: cubic
* total DFT energy (no corrections): -19.252 eV/f.u.
* SG: No. 225

a = 4.246 Å, b = 4.246 Å, c = 4.246 Å
α = 60.00°, β = 60.00°, γ = 60.00°
Positions (direct):
Ru  0.250  0.250  0.250
Ru  0.750  0.750  0.750
Hg  0.500  0.500  0.500
H  0.000  0.000  0.000

---

Taking the records one at a time from the top gives magnetic moment values of 1.01; 0.00; 0.02 μB per formula unit.
Taking the records one at a time from the top gives ρ values of 12.36; 3.35; 12.39 g cm⁻³.

----------

1.
Compound: SrNdCdGe
Source: the Alexandria database
Functional: PBE-GGA
Structure: relaxed

Properties
The value obtained for the theoretical density is 6.1 g/cm3. The formation energy is -0.401 eV per atom.

The structure in CIF format:
```
data_SrNdCdGe
_cell_length_a 7.678
_cell_length_b 7.678
_cell_length_c 7.678
_cell_angle_alpha 90.00
_cell_angle_beta 90.00
_cell_angle_gamma 90.00
_space_group_name_H-M_alt 'F -4 3 m'
_space_group_IT_number 216
_space_group_name_Hall 'F -4 2 3'
loop_
_atom_site_label
_atom_site_type_symbol
_atom_site_fract_x
_atom_site_fract_y
_atom_site_fract_z
Sr1 Sr 0.000 0.000 0.000
Nd1 Nd 0.000 0.000 0.500
Cd1 Cd 0.250 0.250 0.750
Ge1 Ge 0.250 0.250 0.250
```

***

2.
Compound: NdThCdGe
Source: the Alexandria database
Functional: PBE-GGA
Structure: relaxed

Properties
The value obtained for the theoretical density is 8.8 g/cm3. The formation energy is -0.346 eV per atom.

The structure in CIF format:
```
data_NdThCdGe
_cell_length_a 7.525
_cell_length_b 7.525
_cell_length_c 7.525
_cell_angle_alpha 90.00
_cell_angle_beta 90.00
_cell_angle_gamma 90.00
_space_group_name_H-M_alt 'F -4 3 m'
_space_group_IT_number 216
_space_group_name_Hall 'F -4 2 3'
loop_
_atom_site_label
_atom_site_type_symbol
_atom_site_fract_x
_atom_site_fract_y
_atom_site_fract_z
Nd1 Nd 0.000 0.000 0.000
Th1 Th 0.000 0.000 0.500
Cd1 Cd 0.250 0.250 0.250
Ge1 Ge 0.250 0.250 0.750
```

***

3.
Compound: Cd2NiGe2
Source: the Alexandria database
Functional: PBE-GGA
Structure: relaxed

Properties
'''
8. Before you started this survey, what did you look at?
My friends page.
9. What are you wearing?
My GIR doom song shirt, PJ pants, underwear, two rings, and a hair tie.
10. Did you dream last night?
I don't remember. Thankfully. My dreams have been rather disturbing as of late.
11. When did you last laugh?
Last night, when I was amusing myself greatly by saying things like, "I EAT BABIES SOMETIMES, BUT THEY GIVE ME GAS."
12. What is on the walls of the room you are in?
A velvet painting of a jaguar.
A water bra.
A poster of a snow leopard.
A poster of a bunch of kittens.
A velvety fabric thing with a bunch of African animals on it, plus tigers. Tigers don't live in Africa.
Lots of necklaces.
A random painting.
A Five Iron Frenzy poster.
14. What do you think of this quiz?
It's keeping me busy.
15. What is the last film you saw?
The End of the Spear. I kinda feel like watching Back to the Future right now.
16. If you became a multi-millionaire overnight, what would you buy?
First, I'd pay off the house for my parents. Then I'd put away a bunch of money for college. And then I'd have to start buying guitar stuff... Lots of it.
17. Tell me something about you that I don't know:
I almost died yesterday. And by "almost died," I mean, "nearly passed out on Art's couch from dizziness and coughing." It felt like death.
18. If you could change one thing about the world, regardless of guilt or politics, what would you do?
Uh... I don't feel qualified to be making big decisions like that. Despite my good intentions, I would most certainly screw things up.
19. Do you like to dance?
Only when nobody's watching.
20. George Bush:
I'm tired of politics. Again.
21. Imagine your first child is a girl, what do you call her?
Eh... I dunno right now. I don't have a favorite girl name at the moment like I usually do.
22. Imagine your first child is a boy, what do you call him?
I'm thinking Seamus, pronounced Shamus.
23. Would you ever consider living abroad?
Depends on where abroad is.
24. What do you want God to say to you when you reach the pearly gates?
Whatever he needs to say to me. It's not my place to decide his words.
25. 4 people who must also do this in THEIR journal:
Anyone who wants to.
1. Made out for more than 3 minutes? Er... yes.
2. Slept in a different bed? I have slept in many different beds. But that's all I did.
3. Made out in a movie theatre? No. My parents have never let me to go the movies alone with a boy. And now, well... I just wouldn't do it.
4. Made out in the forest? Not in a forest... what's with the make out questions?
5. Thought your cousin was hot? Yes, but she's a girl, and we call each other "sexy" and "babe" all of the time.
6. Played truth or dare? Yeah.
7. Slept naked? On many occasions.
8. Taken a shower with the opposite sex? No. The closest I've come to taking a shower with anybody is showering at the pool.
9. Gone over the speed limit? I can't drive.
10. Painted your room? I don't believe so.
11. Drove a car? No.
12. Danced in front of your mirror? The bathroom mirror, yes.
13. Gotten dumped? Eh... I associate that term with a cruel break-up. Never had any of those, but I have been broken up with.
14. Dumped someone? See above. I've broken up with someone, but it wasn't like, "I hate you! You are so dumped!" It's always been more like, "Geeze, this sucks and I don't really want to do it, but I have to."
15. Stole money from a friend? No.
16. Gotten in a car with people you just met? Probably? I've gotten in a car with someone I really didn't know well. But I never get rides from total strangers unless they know a friend of mine who trusts them and happens to be there at the time.
17. Been in a fist fight? Not a fist fight, but I did hurt a few people in elementary school. I had some crazy rage back then.
18. Snuck out of your house? Yeah. I don't do that anymore.
19. Had feelings for someone who didn't have feelings for you? Most definitely, but I've never told someone I had feelings for them if I didn't think they had them back. No sense in making things awkward.
20. Been arrested? I've been in a cop car, but never been arrested.
21. Made out with a stranger? No.
22. Left your house with out telling your parents? A few times.
23. Had a crush on your neighbor? Never. My only boy neighbors my age were, well... just Shane Butterfield. I kicked him in the nuts once. No, I don't do that anymore.
24. Ditched school to do something more fun? Only classes, but never a whole day. Actually, yes... I have feigned sickness before.
25. Slept in a bed with a member of the same sex? Many times. It's not so fun when it's a small bed. And it gets kind of awkward with Karina.
26. Seen someone die? Nope.
27. Been on a plane? Of course. I've been to five European countries. I didn't walk there, you know.
28. Kissed a picture? Probably.
29. Slept in until 3? I think I've slept in until 2... but not 3.
30. Love someone or miss someone right now? Fredrick! He is way on the other side of the room! *runs to Fredrick, pulls him out of his case, then returns* Now I am not lonely!
31. Lain on your back and watched cloud shapes go by? I've lain on my back and looked at stars, but I don't think clouds.
32. Made a snow angel? Duh. It's a crime to live in Russia and never make a snow angel.
33. Played dress up? I used to all of the time at Athena's. I was her doll.
34. Cheated while playing a game? Um... probably, when I was younger. No instances come to mind, though.
35. Been lonely? Eveyone's lonely sometimes. But guitars are a miracle cure.
36. Fallen asleep at work/school? Fallen asleep at school on accident, in history and math class. The one time I tried to sleep at work, I couldn't. And one time I felt like passing out at work, so Aaron told me to go home early.
37. Been to a club? Nope.
38. Felt an earthquake? Yeah. That crazy one back in... whenever 6th grade was. The TV almost fell on Mr. Pinkley, and I saw the band room floor ripple. It was simultaneously awesome and frightening. But more awesome because I didn't think, "OH NOES EARTHQUAKE," until afterwards because it didn't register at first.
39. Touched a snake? Probably. I don't really remember.
40. Ran a red light? I can't drive.
41. Been suspended from school? Nope.
42. Had detention? I had it once, but I went to it twice. The first time I went, I didn't have it, and then the guy let me out, not because he knew I wasn't supposed to be in there (because he didn't know), but because I was able to give a good definition of "compassion." The second time, I had skipped science class on a half day. Karina skipped, too, but she didn't get detention for it.
43. Been in a car accident? I've been in a near-accident.
44. Hated the way you look? I have in the past, but I'm quite happy with my body and face now.
== Next to the article, the page also holds records of crystals ==
+++
Record 1
# CaPbCl2 (PBE-GGA, relaxed)
# Crystal system   monoclinic
# Raw formation energy   -1.249 eV/atom
# Spin magnetization   0.00 Bohr magnetons per cell
# Excess energy over the best structure of this formula in the dataset   1.11 eV per formula unit
data_CaPbCl2
_cell_length_a 6.022
_cell_length_b 3.581
_cell_length_c 6.037
_cell_angle_alpha 90.00
_cell_angle_beta 105.29
_cell_angle_gamma 90.00
_symmetry_space_group_name_H-M 'P 1 2/m 1'
_symmetry_Int_Tables_number 10
loop_
_symmetry_equiv_pos_as_xyz
'x,y,z'
'-x,-y,-z'
'-x,y,-z'
'x,-y,z'
loop_
_atom_site_label
_atom_site_fract_x
_atom_site_fract_y
_atom_site_fract_z
Ca1 0.000 0.000 0.000
Pb1 0.500 0.000 0.500
Cl1 0.207 0.500 0.793



Record 2
# CaPbCl2 (PBE-GGA, relaxed)
# Crystal system   tetragonal
# Raw formation energy   -0.969 eV/atom
# Spin magnetization   0.00 Bohr magnetons per cell
# Excess energy over the best structure of this formula in the dataset   2.23 eV per formula unit
data_CaPbCl2
_cell_length_a 4.870
_cell_length_b 4.870
_cell_length_c 8.904
_cell_angle_alpha 90.00
_cell_angle_beta 90.00
_cell_angle_gamma 90.00
_symmetry_space_group_name_H-M 'I 4/m m m'
_symmetry_Int_Tables_number 139
_symmetry_space_group_name_Hall '-I 4 2'
loop_
_atom_site_label
_atom_site_fract_x
_atom_site_fract_y
_atom_site_fract_z
Ca1 0.000 0.000 0.000
Pb1 0.000 0.000 0.500
Cl1 0.000 0.500 0.250



Record 3
# CaPbCl2 (PBE-GGA, relaxed)
# Crystal system   trigonal
# Raw formation energy   -1.527 eV/atom
# Spin magnetization   0.00 Bohr magnetons per cell
# Excess energy over the best structure of this formula in the dataset   0.00 eV per formula unit
data_CaPbCl2
_cell_length_a 3.7965
_cell_length_b 3.7965
_cell_length_c 35.5815
_cell_angle_alpha 90.00
_cell_angle_beta 90.00
_cell_angle_gamma 120.00
_symmetry_space_group_name_H-M 'R -3 m'
_symmetry_Int_Tables_number 166
_symmetry_space_group_name_Hall '-R 3 2"'
loop_
_atom_site_label
_atom_site_fract_x
_atom_site_fract_y
_atom_site_fract_z
Ca1 0.0000 0.0000 0.0000
Pb1 0.0000 0.0000 0.5000
Cl1 0.0000 0.0000 0.2892



Record 4
# Ca3PbCl8 (PBE-GGA, relaxed)
# Crystal system   monoclinic
# Raw formation energy   -2.075 eV/atom
# Spin magnetization   0.00 Bohr magnetons per cell
data_Ca3PbCl8
_cell_length_a 13.436
_cell_length_b 8.424
_cell_length_c 7.985
_cell_angle_alpha 90.00
_cell_angle_beta 121.30
_cell_angle_gamma 90.00
_symmetry_space_group_name_H-M 'C 1 2/m 1'
_symmetry_Int_Tables_number 12
loop_
_symmetry_equiv_pos_as_xyz
'x,y,z'
'-x,-y,-z'
'-x,y,-z'
'x,-y,z'
'x+1/2,y+1/2,z'
'-x+1/2,-y+1/2,-z'
'-x+1/2,y+1/2,-z'
'x+1/2,-y+1/2,z'
loop_
_atom_site_label
_atom_site_fract_x
_atom_site_fract_y
_atom_site_fract_z
+++
== End of the records of crystals ==
45. Witnessed a crime? Witnessed? I've been the victim! Got mugged in Russia.
46. Been lost? I am the official god of those who are directionally challenged.
47. Been to the opposite side of the country? Been to Virginia.
48. Been to another country? Five of 'em. Russia, the U.K., Holland, Estonia, and Finland. Only been in Holland and Finland overnight, but I've been to Holland a few times.
49. Cried yourself to sleep? No. It's too hard to fall asleep while crying. I get headaches.
50. Sang karaoke? Nope.
51. Done something you told yourself you wouldn't? Yeah...
52. Laughed till some kind of beverage came out of your nose? Nope.
53. Caught a snowflake on your tongue? Of course. It's not as fulfilling as one might think, though.
54. Kissed in the rain? I want to, but that's just gonna have to wait.
55. Sung in the shower? I've tried, and I just can't get into it.
56. Had a dream that you married someone? Yeah, I think so.
57. Glued your hand to something? Superglued my finger to a countertop on accident. It was a pain trying to pry it off. Then I had superglue stuck to my finger for a while.
58. Got your tongue stuck to a flag pole? No way.
59. Ever gone to school partially naked? Nope. I have been partially naked at school, though, in the locker room.
60. Ever gone to school completely naked? o.O
61. Sat on a roof top? Mine.
62. Didn't take a shower for a week? When I was younger and didn't have such great hygiene. Ugh. xp
63. Ever been too scared to watch scary movies alone? I don't really watch scary movies.
64. Played chicken? No.
65. Been pushed into a pool with all your clothes on? Never been pushed in at all. I've jumped in with clothes on, though.
66. Been told you're hot by a complete stranger? Not quite like that, but I have had strange guys say, "Hey, beautiful," and, "Hey, sweetheart." It's unnerving.
67. Broken a bone? I'm surprised I haven't yet.
68. Been easily amused? Lack of sleep gives me the giggles at everything.
69. Laughed so hard you cried? Heh heh... plenty of times. I've also laughed and then started coughing up more lungs than I even have. That was Art's fault.
70. Cheated on a test? :-/ Once. I still regret it.
71. Forgotten someone's name? Yeah, but it doesn't happen all that often.
72. Blacked out from drinking? The most I've had to drink has been a few sips of wine. I think I might go for the wine this Passover, though.
73. Played a prank on someone? Eh... no. I'm not much of a prankster.
74. Gotten expelled? Nope.
76. Failed a class? I failed leadership. How sad is that?
77. Pretended to be scared? Dunno.
78. Stalked a crush? No. I may joke about stalking, but it's too much work to actually do.
79. Been stalked? Apparently, Art stalks me. But he can't see me in my room anyway.
80. Did you celebrate the 4th of July? I always do.
81. Thrown strange objects? I threw a guitar pick at my cat. Got her right between the eyes.
82. Felt like killing someone? Yes... when I saw them touching Fredrick at Guitar Center. Grrrrrr.
83. Thought about running away? Never seriously.
84. Ran away? No.
85. Had detention and not attend it? No, but I did not have detention and attend it anyway. But I already talked about that.
86. Made parents cry? I've made them yell, but I don't think I've made them cry. Ooh... that would suck.
87. Cried over someone? Yeah; every boyfriend I've had.
88. Owned more than 5 sharpies? Nope.
89. Dated someone more than once? Heh. See two above.
90. Have dogs? I have cats. When grandma first moved in with us, we had her dog.
92. Been in a band? I've been in concert and pep band.
93. Drank 25 sodas in a day? Don't think so.
94. Broken a CD? I've gone so far as to microwave one. Then it borked because it was brittle.
95. Shot a gun? I've never even touched one.
96. Been on myspace for more than 5 hours? I don't even know how anybody could possibly do that.
98. Have a major crush on someone? Yes.
99. Who? FREDRICK. He is my only love.
100. Wonder what people would say at your funeral? *shrug* Just so long as it's honest and not a bunch of, "Oh, she was the kindest person in the world," bull crap. If they feel I was kind, then good, but I don't want to be painted a saint unless I really deserve it, and I know I won't deserve it.
That took me an hour to do.
Anyway, I'm not at school today. My lungs have been in pretty bad shape and I've been coughing a lot, so I need a day to relax. Tomorrow isn't an option, because I have a staff in-service at work, and then I'm busin' it up to Queen Anne to chill with Karina and then go to a spaghetti dinner at Ballard High School.
I got my gig bag yesterday, so now I can bring Fredrick with me to school and other places. I'm happy about that.
Man... Fredrick is so pretty. Every time I look at him, I'm surprised. It's like, "Whuh? That's my guitar? Huh... that's perty."
I just realized that I have to get a check to the pool today. They're ordering lifeguard hoodies, and I wrote my name down to get one, but they need payment today. I'll just have my mom write them a check and then pay her back, 'cause I really shouldn't be going anywhere. The most strenuous activity I'm allowing myself to do is play Fredrick, though I probably should limit that. He puts weight and stress on my chest if I'm not careful.
I ♥ my Fredrick.
I think I'm gonna delete all of my icons and get new ones.